Restate all of the notes further down unchanged.
~~~
No. 1
# Mo2P3O13 | the Materials Project database | meta-GGA r2SCAN | relaxed
# Volume: 258 Å³/f.u.
# Crystal system: triclinic
# M_tot: 2.00 μB per cell
# Uncorrected energy: -10.95 eV per atom
data_Mo2P3O13
_chemical_formula_sum 'Mo4 P6 O26'
_space_group_name_H-M_alt 'P -1'
_space_group_IT_number 2
_cell_length_a 6.325
_cell_length_b 7.499
_cell_length_c 11.372
_cell_angle_alpha 77.02
_cell_angle_beta 86.67
_cell_angle_gamma 78.56
loop_
_space_group_symop_operation_xyz
'x,y,z'
'-x,-y,-z'
loop_
_atom_site_label
_atom_site_fract_x
_atom_site_fract_y
_atom_site_fract_z
_atom_site_occupancy
Mo1 0.198 0.209 0.093 1
Mo2 0.248 0.197 0.595 1
P1 0.114 0.460 0.318 1
P2 0.258 0.791 0.330 1
P3 0.274 0.941 0.884 1
O1 0.069 0.799 0.420 1
O2 0.103 0.819 0.894 1
O3 0.111 0.456 0.650 1
O4 0.130 0.356 0.218 1
O5 0.182 0.382 0.972 1
O6 0.236 0.104 0.776 1
O7 0.240 0.336 0.427 1
O8 0.244 0.624 0.266 1
O9 0.246 0.966 0.236 1
O10 0.263 0.015 0.999 1
O11 0.322 0.982 0.574 1
O12 0.471 0.733 0.396 1
O13 0.492 0.812 0.879 1



No. 2
# Mo2P3O13 | the Materials Project database | meta-GGA r2SCAN | relaxed
# Volume: 277 Å³/f.u.
# Crystal system: triclinic
# M_tot: 2.00 μB per cell
# Uncorrected energy: -10.95 eV per atom
data_Mo2P3O13
_chemical_formula_sum 'Mo4 P6 O26'
_space_group_name_H-M_alt 'P -1'
_space_group_IT_number 2
_cell_length_a 8.789
_cell_length_b 8.988
_cell_length_c 9.035
_cell_angle_alpha 111.23
_cell_angle_beta 110.35
_cell_angle_gamma 106.16
loop_
_space_group_symop_operation_xyz
'x,y,z'
'-x,-y,-z'
loop_
_atom_site_label
_atom_site_fract_x
_atom_site_fract_y
_atom_site_fract_z
_atom_site_occupancy
Mo1 0.017 0.342 0.180 1
Mo2 0.337 0.163 0.820 1
P1 0.095 0.156 0.422 1
P2 0.173 0.734 0.578 1
P3 0.258 0.508 0.016 1
O1 0.015 0.265 0.530 1
O2 0.068 0.031 0.720 1
O3 0.090 0.514 0.897 1
O4 0.115 0.849 0.018 1
O5 0.147 0.251 0.323 1
O6 0.153 0.691 0.721 1
O7 0.193 0.600 0.443 1
O8 0.216 0.439 0.137 1
O9 0.251 0.158 0.558 1
O10 0.307 0.383 0.897 1
O11 0.323 0.928 0.676 1
O12 0.402 0.168 0.018 1
O13 0.421 0.697 0.136 1



No. 3
# MoP2O7 | the Materials Project database | meta-GGA r2SCAN | relaxed
# Volume: 140 Å³/f.u.
# Crystal system: monoclinic
# M_tot: 8.00 μB per cell
# Uncorrected energy: -10.85 eV per atom
data_MoP2O7
_chemical_formula_sum 'Mo4 P8 O28'
_space_group_name_H-M_alt 'P 1 21/c 1'
_space_group_IT_number 14
_cell_length_a 8.891
_cell_length_b 5.297
_cell_length_c 13.333
_cell_angle_alpha 90.00
_cell_angle_beta 117.04
_cell_angle_gamma 90.00
loop_
_space_group_symop_operation_xyz
'x,y,z'
'-x,-y,-z'
'-x,y+1/2,-z+1/2'
'x,-y+1/2,z+1/2'
loop_
_atom_site_label
_atom_site_fract_x
_atom_site_fract_y
_atom_site_fract_z
_atom_site_occupancy
Mo1 0.228 0.247 0.465 1
P1 0.188 0.739 0.617 1
P2 0.337 0.741 0.861 1
O1 0.024 0.737 0.124 1
O2 0.212 0.019 0.079 1
O3 0.216 0.554 0.050 1
O4 0.240 0.541 0.377 1
O5 0.251 0.010 0.355 1
O6 0.334 0.723 0.242 1
O7 0.481 0.246 0.554 1



No. 4
# MoP2O7 | the Materials Project database | meta-GGA r2SCAN | relaxed
# Volume: 137 Å³/f.u.
# Crystal system: monoclinic
# M_tot: 4.00 μB per cell
# Uncorrected energy: -10.86 eV per atom
data_MoP2O7
_chemical_formula_sum 'Mo2 P4 O14'
_space_group_name_H-M_alt 'P 1 21 1'
_space_group_IT_number 4
_cell_length_a 4.909
_cell_length_b 8.297
_cell_length_c 7.007
_cell_angle_alpha 90.00
_cell_angle_beta 106.67
_cell_angle_gamma 90.00
loop_
_space_group_symop_operation_xyz
'x,y,z'
'-x,y+1/2,-z'
loop_
_atom_site_label
_atom_site_fract_x
_atom_site_fract_y
_atom_site_fract_z
_atom_site_occupancy
Mo1 0.219 0.000 0.228 1
P1 0.236 0.736 0.610 1
P2 0.385 0.311 0.003 1
O1 0.009 0.179 0.317 1
O2 0.138 0.838 0.428 1
O3 0.147 0.434 0.963 1
O4 0.286 0.140 0.005 1
O5 0.422 0.854 0.778 1
O6 0.426 0.595 0.589 1
O7 0.434 0.828 0.140 1



No. 5
# MoP5O15 | the Materials Project database | meta-GGA r2SCAN | relaxed
# Volume: 293 Å³/f.u.
# Crystal system: monoclinic
# M_tot: 2.00 μB per cell
# Uncorrected energy: -9.74 eV per atom
data_MoP5O15
_chemical_formula_sum 'Mo2 P10 O30'
~~~
No. 1
# Mo2P3O13 | the Materials Project database | meta-GGA r2SCAN | relaxed
# Volume: 258 Å³/f.u.
# Crystal system: triclinic
# M_tot: 2.00 μB per cell
# Uncorrected energy: -10.95 eV per atom
data_Mo2P3O13
_chemical_formula_sum 'Mo4 P6 O26'
_space_group_name_H-M_alt 'P -1'
_space_group_IT_number 2
_cell_length_a 6.325
_cell_length_b 7.499
_cell_length_c 11.372
_cell_angle_alpha 77.02
_cell_angle_beta 86.67
_cell_angle_gamma 78.56
loop_
_space_group_symop_operation_xyz
'x,y,z'
'-x,-y,-z'
loop_
_atom_site_label
_atom_site_fract_x
_atom_site_fract_y
_atom_site_fract_z
_atom_site_occupancy
Mo1 0.198 0.209 0.093 1
Mo2 0.248 0.197 0.595 1
P1 0.114 0.460 0.318 1
P2 0.258 0.791 0.330 1
P3 0.274 0.941 0.884 1
O1 0.069 0.799 0.420 1
O2 0.103 0.819 0.894 1
O3 0.111 0.456 0.650 1
O4 0.130 0.356 0.218 1
O5 0.182 0.382 0.972 1
O6 0.236 0.104 0.776 1
O7 0.240 0.336 0.427 1
O8 0.244 0.624 0.266 1
O9 0.246 0.966 0.236 1
O10 0.263 0.015 0.999 1
O11 0.322 0.982 0.574 1
O12 0.471 0.733 0.396 1
O13 0.492 0.812 0.879 1



No. 2
# Mo2P3O13 | the Materials Project database | meta-GGA r2SCAN | relaxed
# Volume: 277 Å³/f.u.
# Crystal system: triclinic
# M_tot: 2.00 μB per cell
# Uncorrected energy: -10.95 eV per atom
data_Mo2P3O13
_chemical_formula_sum 'Mo4 P6 O26'
_space_group_name_H-M_alt 'P -1'
_space_group_IT_number 2
_cell_length_a 8.789
_cell_length_b 8.988
_cell_length_c 9.035
_cell_angle_alpha 111.23
_cell_angle_beta 110.35
_cell_angle_gamma 106.16
loop_
_space_group_symop_operation_xyz
'x,y,z'
'-x,-y,-z'
loop_
_atom_site_label
_atom_site_fract_x
_atom_site_fract_y
_atom_site_fract_z
_atom_site_occupancy
Mo1 0.017 0.342 0.180 1
Mo2 0.337 0.163 0.820 1
P1 0.095 0.156 0.422 1
P2 0.173 0.734 0.578 1
P3 0.258 0.508 0.016 1
O1 0.015 0.265 0.530 1
O2 0.068 0.031 0.720 1
O3 0.090 0.514 0.897 1
O4 0.115 0.849 0.018 1
O5 0.147 0.251 0.323 1
O6 0.153 0.691 0.721 1
O7 0.193 0.600 0.443 1
O8 0.216 0.439 0.137 1
O9 0.251 0.158 0.558 1
O10 0.307 0.383 0.897 1
O11 0.323 0.928 0.676 1
O12 0.402 0.168 0.018 1
O13 0.421 0.697 0.136 1



No. 3
# MoP2O7 | the Materials Project database | meta-GGA r2SCAN | relaxed
# Volume: 140 Å³/f.u.
# Crystal system: monoclinic
# M_tot: 8.00 μB per cell
# Uncorrected energy: -10.85 eV per atom
data_MoP2O7
_chemical_formula_sum 'Mo4 P8 O28'
_space_group_name_H-M_alt 'P 1 21/c 1'
_space_group_IT_number 14
_cell_length_a 8.891
_cell_length_b 5.297
_cell_length_c 13.333
_cell_angle_alpha 90.00
_cell_angle_beta 117.04
_cell_angle_gamma 90.00
loop_
_space_group_symop_operation_xyz
'x,y,z'
'-x,-y,-z'
'-x,y+1/2,-z+1/2'
'x,-y+1/2,z+1/2'
loop_
_atom_site_label
_atom_site_fract_x
_atom_site_fract_y
_atom_site_fract_z
_atom_site_occupancy
Mo1 0.228 0.247 0.465 1
P1 0.188 0.739 0.617 1
P2 0.337 0.741 0.861 1
O1 0.024 0.737 0.124 1
O2 0.212 0.019 0.079 1
O3 0.216 0.554 0.050 1
O4 0.240 0.541 0.377 1
O5 0.251 0.010 0.355 1
O6 0.334 0.723 0.242 1
O7 0.481 0.246 0.554 1



No. 4
# MoP2O7 | the Materials Project database | meta-GGA r2SCAN | relaxed
# Volume: 137 Å³/f.u.
# Crystal system: monoclinic
# M_tot: 4.00 μB per cell
# Uncorrected energy: -10.86 eV per atom
data_MoP2O7
_chemical_formula_sum 'Mo2 P4 O14'
_space_group_name_H-M_alt 'P 1 21 1'
_space_group_IT_number 4
_cell_length_a 4.909
_cell_length_b 8.297
_cell_length_c 7.007
_cell_angle_alpha 90.00
_cell_angle_beta 106.67
_cell_angle_gamma 90.00
loop_
_space_group_symop_operation_xyz
'x,y,z'
'-x,y+1/2,-z'
loop_
_atom_site_label
_atom_site_fract_x
_atom_site_fract_y
_atom_site_fract_z
_atom_site_occupancy
Mo1 0.219 0.000 0.228 1
P1 0.236 0.736 0.610 1
P2 0.385 0.311 0.003 1
O1 0.009 0.179 0.317 1
O2 0.138 0.838 0.428 1
O3 0.147 0.434 0.963 1
O4 0.286 0.140 0.005 1
O5 0.422 0.854 0.778 1
O6 0.426 0.595 0.589 1
O7 0.434 0.828 0.140 1



No. 5
# MoP5O15 | the Materials Project database | meta-GGA r2SCAN | relaxed
# Volume: 293 Å³/f.u.
# Crystal system: monoclinic
# M_tot: 2.00 μB per cell
# Uncorrected energy: -9.74 eV per atom
data_MoP5O15
_chemical_formula_sum 'Mo2 P10 O30'